**To do:**
Your job: search the notes further below for the word "each" and return each line that has it.

**Data:**
┌──
Below is a cluster of 2 separate species, H4O2 in total, with properties calculated with ωB97M-V/def2-TZVPD.

Bonds (Å) are listed after each position.
Geometry (Å):
1 O -1.045 0.522 -0.834  H2 0.957, H3 0.957
2 H -0.301 1.122 -0.875  O1 0.957
3 H -1.774 1.063 -0.530  O1 0.957
4 O 1.241 -1.222 0.645  H5 0.957, H6 0.957
5 H 1.428 -0.615 1.361  O4 0.957
6 H 0.452 -0.871 0.232  O4 0.957

Calculated values
- Max |F|: 0.00966 Eh/bohr
- Charge: 0
- Lowest unoccupied orbital energy: 0.650 eV
- SMILES string: O.O
- Electronic energy: -4159.85946 eV
- Relative energy (zero: lowest compared OMol25 entry of this formula, charge and spin): 7.7 kJ/mol
- Frontier orbital gap: 11.94 eV


--- A ---
DFT (the ωB97M-V functional and the def2-TZVPD basis) results for 9 unconnected molecules or ions with the total composition C30H84N6O12.

```
132
C30H84N6O12 (the ωB97M-V functional and the def2-TZVPD basis)
C 3.04 -3.63 -2.45
O 2.99 -2.33 -3.01
C 2.76 -2.31 -4.42
C 3.90 -2.98 -5.31
C 5.26 -2.52 -4.98
N 3.67 -2.65 -6.75
H 2.11 -4.20 -2.54
H 3.22 -3.57 -1.37
H 3.80 -4.26 -2.91
H 1.82 -2.77 -4.73
H 2.60 -1.25 -4.64
H 3.92 -4.05 -5.16
H 5.37 -1.45 -5.18
H 6.01 -3.13 -5.48
H 5.46 -2.63 -3.92
H 4.28 -3.30 -7.23
H 2.79 -2.93 -7.15
C 2.14 3.37 -2.46
O 0.96 3.80 -1.85
C 0.84 5.27 -1.86
C -0.03 5.73 -0.63
C -1.53 5.36 -0.84
N -0.01 7.18 -0.60
H 2.13 2.29 -2.64
H 3.09 3.55 -1.95
H 2.24 3.76 -3.47
H 1.75 5.84 -1.68
H 0.54 5.49 -2.89
H 0.36 5.30 0.29
H -1.75 4.30 -0.90
H -1.97 5.86 -1.70
H -2.11 5.76 -0.01
H 0.86 7.56 -0.27
H -0.15 7.58 -1.52
C -2.11 -3.39 -0.06
O -3.40 -2.83 -0.25
C -3.69 -1.82 0.65
C -5.04 -1.26 0.36
C -5.47 -0.09 1.13
N -6.11 -2.26 0.32
H -1.94 -4.16 -0.81
H -1.94 -3.73 0.96
H -1.33 -2.65 -0.21
H -3.55 -2.13 1.69
H -3.02 -0.98 0.49
H -5.00 -0.97 -0.69
H -6.21 0.36 0.47
H -4.61 0.54 1.35
H -5.88 -0.35 2.10
H -5.73 -3.08 -0.14
H -6.23 -2.64 1.25
C 0.92 -9.12 -5.83
O 1.08 -7.67 -5.90
C 0.58 -6.99 -4.71
C 0.51 -5.43 -4.94
C -0.37 -4.59 -3.95
N 0.02 -5.10 -6.27
H 1.46 -9.64 -6.62
H -0.09 -9.50 -5.99
H 1.13 -9.46 -4.81
H -0.41 -7.38 -4.50
H 1.12 -7.30 -3.82
H 1.53 -5.05 -4.87
H 0.03 -4.76 -2.95
H -1.41 -4.93 -3.97
H -0.15 -3.53 -4.07
H 0.40 -5.70 -6.99
H -0.96 -5.36 -6.35
C 0.38 -0.41 -1.84
O -0.09 -0.13 -0.57
C 0.01 1.30 -0.13
C -0.36 1.46 1.36
C -0.16 2.83 1.99
N 0.23 0.50 2.21
H 1.44 -0.18 -1.91
H 0.04 0.41 -2.47
H 0.08 -1.41 -2.16
H 1.03 1.66 -0.29
H -0.69 1.94 -0.67
H -1.42 1.21 1.36
H -0.78 2.88 2.89
H -0.57 3.64 1.38
H 0.88 3.08 2.19
H 1.24 0.57 2.16
H 0.08 -0.34 1.66
C 3.08 -0.86 0.45
O 3.11 -0.46 1.84
C 4.20 0.44 2.10
C 4.18 0.82 3.60
C 2.93 1.66 3.98
N 5.31 1.66 3.97
H 3.05 -0.06 -0.29
H 2.11 -1.36 0.34
H 3.88 -1.55 0.22
H 5.13 -0.11 1.93
H 4.13 1.29 1.42
H 4.11 -0.10 4.18
H 2.00 1.10 3.84
H 2.85 2.44 3.22
H 2.96 2.09 4.98
H 6.13 1.12 3.74
H 5.30 1.70 4.98
O -1.67 -1.76 3.05
C -2.14 -1.34 4.32
C -2.44 0.11 4.57
O -1.19 0.83 4.63
H -0.94 -1.19 2.80
H -3.06 -1.88 4.52
H -1.59 -1.84 5.12
H -2.94 0.11 5.53
H -3.04 0.48 3.73
H -0.83 0.87 3.74
O -0.76 5.21 8.17
C 0.18 4.53 7.43
C -0.39 3.75 6.20
O -0.89 2.54 6.78
H -1.30 4.47 8.48
H 0.87 5.27 7.03
H 0.67 3.79 8.07
H 0.35 3.25 5.57
H -1.14 4.27 5.61
H -1.14 1.91 6.09
O -3.62 3.73 2.92
C -4.17 3.46 1.64
C -4.81 4.79 1.22
O -6.19 4.76 1.59
H -4.37 4.00 3.46
H -3.40 3.17 0.93
H -4.85 2.61 1.72
H -4.78 4.85 0.14
H -4.26 5.64 1.62
H -6.44 5.67 1.78
```

Results
Net charge: 0
HOMO (eV): -9.15
Structure (SMILES): COC[C@H](C)N.COC[C@H](C)N.COC[C@H](C)N.COC[C@H](C)N.COC[C@H](C)N.COC[C@H](C)N.OCCO.OCCO.OCCO
Multiplicity: 1

***

--- B ---
DFT (the ωB97M-V functional and the def2-TZVPD basis) results for 9 unconnected molecules or ions with the total composition C30H84N6O12.

```
132
C30H84N6O12 (the ωB97M-V functional and the def2-TZVPD basis)
C -4.23 -25.43 1.29
O -4.89 -26.19 0.31
C -4.37 -27.48 0.07
C -3.04 -27.58 -0.62
C -3.16 -27.00 -2.01
N -2.60 -28.95 -0.79
H -4.74 -24.48 1.23
H -3.17 -25.25 1.10
H -4.35 -25.97 2.26
H -4.33 -28.05 1.00
H -5.15 -27.91 -0.56
H -2.28 -27.01 -0.09
└──

**Here it is:**
Bonds (Å) are listed after each position.